Essbase Artifact Listing

Oracle Essbase artifacts are listed in the Essbase application group in Oracle Hyperion Shared Services Console.


The artifacts displayed in Shared Services Console vary by implementation.

About the Artifact Listing

Note the following about the artifact listing:

  • Artifact—Artifact name

  • Description—Artifact description

  • Last Modified Time—If this parameter is supported, reflects the time the artifact was imported. Some artifacts do not support the last modified time parameter.

  • Last Modified User—If this parameter is supported, reflects the user who last modified the artifact. Some artifacts do not support the last modified user parameter.

  • Editable on the File System—If yes, the artifact can be edited on the file system using a text editor. If no, the artifact can be edited only within the product.

  • Dependencies—Lists artifact dependencies. For example, Essbase Security Filters artifacts also require that Oracle Hyperion Shared Services security artifacts be migrated.

Essbase Server Artifacts

The Essbase Server directory contains substitution variable artifacts.

Table C-1 Essbase Server Artifacts

Artifact Description Last Modified Time Last Modified User Editable on the File System? Dependencies
Custom-Defined Macros and Functions Calculation functions No No Yes—XML None
Substitution Variables Global placeholders for regularly changing information No No Yes—XML None

Essbase Application Artifacts

Each application directory (for example, Demo) contains application-specific substitution variable artifacts.

Table C-2 Essbase Application Artifacts

Artifact Description Last Modified Time Last Modified User Editable on the File System? Dependencies
Custom-Defined Macros and Functions Calculation functions No No Yes—XML None
Substitution Variables Global placeholders for regularly changing information No No Yes—XML None

* See notes

Data storage optimizations No No Yes—XML None


  1. Applicable only to ASO applications.
  2. Export and import is supported only within the same operating environment. For example, if you export from a Windows environment, you must also import into a Windows environment.

Essbase Database Artifacts

Each Essbase application contains one or more database directories (for example, Sample.Basic) which, in turn, contain database-specific artifacts.

Molecular data that have nothing to do with the entry:
+++
(1)
+++
The molecular data stop here:

Table C-3 Essbase Database Artifacts

Artifact Description Last Modified Time Last Modified User Editable on the File System? Dependencies
Calculation Scripts (or Calc Scripts) A set of commands that defines how a database is consolidated or aggregated. A calculation script may also contain commands that specify allocation and other calculation rules separate from the consolidation process. Yes No Yes—TXT None
Data All stored data, whether it is at the input member or aggregated/consolidated at the parent level; for example, Stored Data, Dynamic Calc and Store. No No Yes—TXT Database Outline
Database Properties Properties such as bufferSize, dataCacheSetting, dataFileCacheSetting, indexCacheSetting, sortBufferSize, and so on. No No Yes—XML None
Database Outline Cube Outline file Yes No No None
Disk Volumes

* See Notes

Data storage allocation No No Yes—XML None
Drill-Through Definitions Oracle Hyperion Financial Data Quality Management and Oracle Hyperion Financial Data Quality Management, Enterprise Edition information No No Yes—XML None
Excel Files External spreadsheet files that you can associate with data cells in Essbase Yes No Yes—TXT, XML None
Location Aliases Descriptors that identify a data source. The location alias specifies a server, application, database, user name, and password. Location aliases are set by DBAs at the database level using Oracle Essbase Administration Services, ESSCMD, or the API. No No Yes—XML None
Report Scripts Text files containing Essbase Report Writer commands that generate production reports Yes No Yes—TXT, XML None
Rule Files Sets of operations that Essbase performs on data values or on dimensions and members when it processes a data source Yes No No None
Security Filters Restrictions that control security access to data values or cells No No Yes—CSV Shared Services security artifacts
Substitution Variables Global placeholders for regularly changing information No No Yes—XML None
Text Files Text files used for loading data into Essbase cubes Yes No Yes—TXT None


  1. Applicable only to BSO applications.
  2. Export and import is supported only within the same operating environment. For example, if you export from a Windows environment, you must also import into a Windows environment.